== Entries ==
/*
Here is a relaxed Li7Pr3Tl4 crystal from the Alexandria database. Energies are from PBE-GGA.

a b c (Å): 17.2026 4.9817 9.0023
angles (deg): 90.00 121.02 90.00
With the nearest neighbours (Å) after each atom.
Space group C2/m (No. 12)
Asymmetric unit:
Li (0.0000, 0.0000, 0.0000) x2  2 Tl 2.70, 6 Li 2.71-2.92
Li (0.0089, 0.5000, 0.1782) x4  4 Li 2.74-3.06, 1 Tl 2.78
Li (0.1446, 0.0000, 0.9562) x4  1 Li 2.71, 2 Tl 2.88
Li (0.1585, 0.5000, 0.5067) x4  4 Tl 2.73-3.03, 1 Li 2.74
Pr (0.0000, 0.0000, 0.5000) x2  6 Tl 3.40-3.56, 6 Li 3.54-3.67
Pr (0.2290, 0.5000, 0.2286) x4  7 Li 3.26-3.57, 6 Tl 3.33-3.39
Tl (0.1377, 0.0000, 0.3333) x4  3 Li 2.70-2.86
Tl (0.1452, 0.5000, 0.7965) x4  4 Li 2.73-2.88

total energy: -81.3 eV/cell
magnetization: 0.00 μB per formula unit
theoretical density: 6.47 g/cm3
energy of formation: -3.438 eV per formula unit
V: 23.61 A^3/atom

Here is a relaxed LiPr3Tl3 crystal from the Alexandria database. Energies are from PBE-GGA.

a b c (Å): 8.4459 11.6006 8.6550
angles (deg): 90.00 97.23 90.00
With the nearest neighbours (Å) after each atom.
Space group C2/m (No. 12)
Asymmetric unit:
Li (0.2192, 0.0000, 0.4659) x4  4 Tl 2.76-3.08
Pr (0.0000, 0.2516, 0.5000) x4  6 Tl 3.36-3.38, 4 Li 3.49-3.72
Pr (0.0000, 0.3198, 0.0000) x4  6 Tl 3.12-3.34
Pr (0.1292, 0.0000, 0.8447) x4  5 Tl 3.35-3.71, 2 Li 3.46-3.73, 1 Pr 3.67
Tl (0.0235, 0.5000, 0.3036) x4  2 Li 2.76-3.08
Tl (0.2121, 0.1543, 0.2220) x8  1 Li 2.76

total energy: -100.3 eV/cell
magnetization: 0.00 μB per formula unit
theoretical density: 8.23 g/cm3
ΔE to the lowest computed polymorph: 67 meV/atom
energy of formation: -1.732 eV per formula unit
V: 30.04 A^3/atom


# CoTePbO

CoTePbO after structural relaxation (PBE+U, OQMD via LeMat-Bulk).

abc: 4.1810 4.1810 9.3790
angles: 90.00 90.00 90.00
Atoms (fractional coordinates):
Co 0.2500 0.2500 0.0474
Co 0.7500 0.7500 0.9526
Te 0.2500 0.2500 0.3599
Te 0.7500 0.7500 0.6401
Pb 0.2500 0.2500 0.7370
Pb 0.7500 0.7500 0.2630
O 0.2500 0.7500 0.0000
O 0.7500 0.2500 0.0000

SG = P4/nmm (129)
energy above the most stable polymorph in this dataset = 341.4 meV per atom
total DFT energy (no corrections) = -35.55 eV for the cell shown


A | NaPtSeBr2 | GGA-PBE | optimized geometry

a b c (Å): 5.114 5.114 5.356
angles (deg): 90.00 90.00 90.00
Fractional coordinates of all 5 atoms:
1 Na 0.000 0.000 0.000
2 Pt 0.500 0.500 0.500
3 Se 0.000 0.000 0.500
4 Br 0.000 0.500 0.000
5 Br 0.500 0.000 0.000

V (Å³/atom): 28.01
Space-group type: P4/mmm, No. 123
M_tot (μB/atom): 0.0522

=====

B | NaPtSeBr2 | GGA-PBE | optimized geometry

a b c (Å): 5.416 5.416 4.806
angles (deg): 90.00 90.00 90.00
Fractional coordinates of all 5 atoms:
1 Na 0.000 0.000 0.000
2 Pt 0.500 0.500 0.500
3 Se 0.500 0.500 0.000
4 Br 0.000 0.500 0.500
5 Br 0.500 0.000 0.500

V (Å³/atom): 28.20
Space-group type: P4/mmm, No. 123
M_tot (μB/atom): 0.0000

=====

Most stable: B

=====

A | Na3PuBr6 | GGA-PBE | optimized geometry

a b c (Å): 8.810 8.810 8.810
angles (deg): 91.07 91.07 91.07
Fractional coordinates of all 20 atoms:
1 Na 0.068 0.745 0.578
2 Na 0.255 0.422 0.932
3 Na 0.422 0.932 0.255
4 Na 0.578 0.068 0.745
5 Na 0.745 0.578 0.068
6 Na 0.932 0.255 0.422
7 Pu 0.000 0.000 0.000
8 Pu 0.500 0.500 0.500
9 Br 0.043 0.689 0.909
10 Br 0.091 0.957 0.311
11 Br 0.194 0.416 0.583
12 Br 0.311 0.091 0.957
13 Br 0.416 0.583 0.194
14 Br 0.417 0.806 0.584
15 Br 0.583 0.194 0.416
16 Br 0.584 0.417 0.806
17 Br 0.689 0.909 0.043
18 Br 0.806 0.584 0.417
19 Br 0.909 0.043 0.689
20 Br 0.957 0.311 0.091

V (Å³/atom): 34.17
Space-group type: R-3, No. 148
M_tot (μB/atom): 0.0017

=====

B | Na3PuBr6 | GGA-PBE | optimized geometry

a b c (Å): 8.071 8.071 8.071
angles (deg): 55.02 55.02 55.02
Fractional coordinates of all 10 atoms:
1 Na 0.000 0.000 0.000
2 Na 0.196 0.196 0.196
3 Na 0.493 0.493 0.493
4 Pu 0.688 0.688 0.688
5 Br 0.074 0.423 0.794
6 Br 0.298 0.898 0.598
7 Br 0.423 0.794 0.074
8 Br 0.598 0.298 0.898
9 Br 0.794 0.074 0.423
10 Br 0.898 0.598 0.298

V (Å³/atom): 32.87
*/

== Wanted ==
Find the line further above that holds "4.1810 9.3790", then echo that line and all lines after it there.

== Written answer ==
abc: 4.1810 4.1810 9.3790
angles: 90.00 90.00 90.00
Atoms (fractional coordinates):
Co 0.2500 0.2500 0.0474
Co 0.7500 0.7500 0.9526
Te 0.2500 0.2500 0.3599
Te 0.7500 0.7500 0.6401
Pb 0.2500 0.2500 0.7370
Pb 0.7500 0.7500 0.2630
O 0.2500 0.7500 0.0000
O 0.7500 0.2500 0.0000

SG = P4/nmm (129)
energy above the most stable polymorph in this dataset = 341.4 meV per atom
total DFT energy (no corrections) = -35.55 eV for the cell shown


A | NaPtSeBr2 | GGA-PBE | optimized geometry

a b c (Å): 5.114 5.114 5.356
angles (deg): 90.00 90.00 90.00
Fractional coordinates of all 5 atoms:
1 Na 0.000 0.000 0.000
2 Pt 0.500 0.500 0.500
3 Se 0.000 0.000 0.500
4 Br 0.000 0.500 0.000
5 Br 0.500 0.000 0.000

V (Å³/atom): 28.01
Space-group type: P4/mmm, No. 123
M_tot (μB/atom): 0.0522

=====

B | NaPtSeBr2 | GGA-PBE | optimized geometry

a b c (Å): 5.416 5.416 4.806
angles (deg): 90.00 90.00 90.00
Fractional coordinates of all 5 atoms:
1 Na 0.000 0.000 0.000
2 Pt 0.500 0.500 0.500
3 Se 0.500 0.500 0.000
4 Br 0.000 0.500 0.500
5 Br 0.500 0.000 0.500

V (Å³/atom): 28.20
Space-group type: P4/mmm, No. 123
M_tot (μB/atom): 0.0000

=====

Most stable: B

=====

A | Na3PuBr6 | GGA-PBE | optimized geometry

a b c (Å): 8.810 8.810 8.810
angles (deg): 91.07 91.07 91.07
Fractional coordinates of all 20 atoms:
1 Na 0.068 0.745 0.578
2 Na 0.255 0.422 0.932
3 Na 0.422 0.932 0.255
4 Na 0.578 0.068 0.745
5 Na 0.745 0.578 0.068
6 Na 0.932 0.255 0.422
7 Pu 0.000 0.000 0.000
8 Pu 0.500 0.500 0.500
9 Br 0.043 0.689 0.909
10 Br 0.091 0.957 0.311
11 Br 0.194 0.416 0.583
12 Br 0.311 0.091 0.957
13 Br 0.416 0.583 0.194
14 Br 0.417 0.806 0.584
15 Br 0.583 0.194 0.416
16 Br 0.584 0.417 0.806
17 Br 0.689 0.909 0.043
18 Br 0.806 0.584 0.417
19 Br 0.909 0.043 0.689
20 Br 0.957 0.311 0.091

V (Å³/atom): 34.17
Space-group type: R-3, No. 148
M_tot (μB/atom): 0.0017

=====

B | Na3PuBr6 | GGA-PBE | optimized geometry

a b c (Å): 8.071 8.071 8.071
angles (deg): 55.02 55.02 55.02
Fractional coordinates of all 10 atoms:
1 Na 0.000 0.000 0.000
2 Na 0.196 0.196 0.196
3 Na 0.493 0.493 0.493
4 Pu 0.688 0.688 0.688
5 Br 0.074 0.423 0.794
6 Br 0.298 0.898 0.598
7 Br 0.423 0.794 0.074
8 Br 0.598 0.298 0.898
9 Br 0.794 0.074 0.423
10 Br 0.898 0.598 0.298

V (Å³/atom): 32.87